Your job: restate everything further below exactly.

(1)
Structure and computed XRD peak list of NaCd2Hg4Pb (the PBE geometry in Alexandria; Cu Ka).
Neutral-atom scattering factors, no anomalous dispersion.

Largest 10 diffraction maxima, sorted by position, 2θ = 10–90°:
2θ (°)  I (rel.)
25.09  20
28.73  100
29.69  45
40.97  20
41.19  19
41.79  73
51.41  20
51.60  20
67.90  17
69.41  16

Structure:
```
data_NaCd2Hg4Pb
_cell_length_a 8.766
_cell_length_b 8.812
_cell_length_c 12.034
_cell_angle_alpha 90.00
_cell_angle_beta 90.00
_cell_angle_gamma 90.00
_space_group_name_H-M_alt 'F 2 2 2'
_space_group_IT_number 22
_space_group_name_Hall 'F 2 2'
loop_
_atom_site_label
_atom_site_type_symbol
_atom_site_fract_x
_atom_site_fract_y
_atom_site_fract_z
Na1 Na 0.000 0.000 0.000
Cd1 Cd 0.000 0.000 0.500
Cd2 Cd 0.250 0.250 0.250
Hg1 Hg 0.000 0.000 0.254
Hg2 Hg 0.250 0.250 0.007
Pb1 Pb 0.250 0.250 0.750
```


(2)
Structure and computed XRD peak list of Rb2Na6CdHg (the PBE geometry in Alexandria; Cu Ka).
Neutral-atom scattering factors, no anomalous dispersion.

Largest 10 diffraction maxima, sorted by position, 2θ = 10–90°:
2θ (°)  I (rel.)
16.43  100
19.08  68
21.24  98
26.93  50
27.52  30
30.26  53
31.19  39
31.87  41
33.21  31
34.55  33

Structure:
```
data_Rb2Na6CdHg
_cell_length_a 9.303
_cell_length_b 11.470
_cell_length_c 8.111
_cell_angle_alpha 90.00
_cell_angle_beta 90.00
_cell_angle_gamma 90.00
_space_group_name_H-M_alt 'P m m n'
_space_group_IT_number 59
loop_
_space_group_symop_operation_xyz
'x,y,z'
'-x,-y,-z'
'-x+1/2,-y+1/2,z'
'x+1/2,y+1/2,-z'
'x+1/2,-y,-z'
'-x+1/2,y,z'
'-x,y+1/2,-z'
'x,-y+1/2,z'
loop_
_atom_site_label
_atom_site_type_symbol
_atom_site_fract_x
_atom_site_fract_y
_atom_site_fract_z
Rb1 Rb 0.250 0.010 0.243
Na1 Na 0.047 0.250 0.910
Na2 Na 0.053 0.750 0.565
Na3 Na 0.250 0.002 0.739
Cd1 Cd 0.250 0.750 0.901
Hg1 Hg 0.250 0.250 0.588
```


(3)
Structure and computed XRD peak list of Rb2Na4Cd2Hg (the PBE geometry in Alexandria; Cu Ka).
Neutral-atom scattering factors, no anomalous dispersion.

Largest 10 diffraction maxima, sorted by position, 2θ = 10–90°:
2θ (°)  I (rel.)
11.17  44
14.45  100
20.17  46
24.58  53
25.97  33
27.07  34
29.79  73
32.00  60
32.86  46
36.15  54

Structure:
```
data_Rb2Na4Cd2Hg
_cell_length_a 11.588
_cell_length_b 7.244
_cell_length_c 7.981
_cell_angle_alpha 90.00
_cell_angle_beta 97.09
_cell_angle_gamma 90.00
_space_group_name_H-M_alt 'C 1 2/m 1'
_space_group_IT_number 12
loop_
_space_group_symop_operation_xyz
'x,y,z'
'-x,-y,-z'
'-x,y,-z'
'x,-y,z'
'x+1/2,y+1/2,z'
'-x+1/2,-y+1/2,-z'
'-x+1/2,y+1/2,-z'
'x+1/2,-y+1/2,z'
loop_
_atom_site_label
_atom_site_type_symbol
_atom_site_fract_x
_atom_site_fract_y
_atom_site_fract_z
Rb1 Rb 0.162 0.000 0.393
Na1 Na 0.117 0.247 0.863
Cd1 Cd 0.126 0.500 0.195
Hg1 Hg 0.000 0.500 0.500
```


(4)
Structure and computed XRD peak list of NaCdHgSb (the PBE geometry in Alexandria; Cu Ka).
Neutral-atom scattering factors, no anomalous dispersion.

Largest 10 diffraction maxima, sorted by position, 2θ = 10–90°:
2θ (°)  I (rel.)
20.80  15
24.06  19
34.29  100
40.44  9
42.32  6
49.27  18
55.56  8
61.40  36
72.25  11
82.46  16

Structure:
```
data_NaCdHgSb
_cell_length_a 7.397
_cell_length_b 7.397
_cell_length_c 7.397
_cell_angle_alpha 90.00
_cell_angle_beta 90.00
_cell_angle_gamma 90.00
_space_group_name_H-M_alt 'F -4 3 m'
_space_group_IT_number 216
_space_group_name_Hall 'F -4 2 3'
loop_
_atom_site_label
_atom_site_type_symbol
_atom_site_fract_x
_atom_site_fract_y
_atom_site_fract_z
Na1 Na 0.000 0.000 0.000
Cd1 Cd 0.000 0.000 0.500
Hg1 Hg 0.250 0.250 0.750
Sb1 Sb 0.250 0.250 0.250
```


(5)
Structure and computed XRD peak list of NaCdHgSe2 (the PBE geometry in Alexandria; Cu Ka).
Neutral-atom scattering factors, no anomalous dispersion.

Largest 10 diffraction maxima, sorted by position, 2θ = 10–90°:
2θ (°)  I (rel.)
13.77  100
24.29  24
26.45  24
29.49  24
29.86  72
35.30  60
36.21  88
42.17  23
45.23  24
49.76  24

Structure:
```
data_NaCdHgSe2
_cell_length_a 6.647
_cell_length_b 5.383
_cell_length_c 7.576

(1)
Structure and computed XRD peak list of NaCd2Hg4Pb (the PBE geometry in Alexandria; Cu Ka).
Neutral-atom scattering factors, no anomalous dispersion.

Largest 10 diffraction maxima, sorted by position, 2θ = 10–90°:
2θ (°)  I (rel.)
25.09  20
28.73  100
29.69  45
40.97  20
41.19  19
41.79  73
51.41  20
51.60  20
67.90  17
69.41  16

Structure:
```
data_NaCd2Hg4Pb
_cell_length_a 8.766
_cell_length_b 8.812
_cell_length_c 12.034
_cell_angle_alpha 90.00
_cell_angle_beta 90.00
_cell_angle_gamma 90.00
_space_group_name_H-M_alt 'F 2 2 2'
_space_group_IT_number 22
_space_group_name_Hall 'F 2 2'
loop_
_atom_site_label
_atom_site_type_symbol
_atom_site_fract_x
_atom_site_fract_y
_atom_site_fract_z
Na1 Na 0.000 0.000 0.000
Cd1 Cd 0.000 0.000 0.500
Cd2 Cd 0.250 0.250 0.250
Hg1 Hg 0.000 0.000 0.254
Hg2 Hg 0.250 0.250 0.007
Pb1 Pb 0.250 0.250 0.750
```


(2)
Structure and computed XRD peak list of Rb2Na6CdHg (the PBE geometry in Alexandria; Cu Ka).
Neutral-atom scattering factors, no anomalous dispersion.

Largest 10 diffraction maxima, sorted by position, 2θ = 10–90°:
2θ (°)  I (rel.)
16.43  100
19.08  68
21.24  98
26.93  50
27.52  30
30.26  53
31.19  39
31.87  41
33.21  31
34.55  33

Structure:
```
data_Rb2Na6CdHg
_cell_length_a 9.303
_cell_length_b 11.470
_cell_length_c 8.111
_cell_angle_alpha 90.00
_cell_angle_beta 90.00
_cell_angle_gamma 90.00
_space_group_name_H-M_alt 'P m m n'
_space_group_IT_number 59
loop_
_space_group_symop_operation_xyz
'x,y,z'
'-x,-y,-z'
'-x+1/2,-y+1/2,z'
'x+1/2,y+1/2,-z'
'x+1/2,-y,-z'
'-x+1/2,y,z'
'-x,y+1/2,-z'
'x,-y+1/2,z'
loop_
_atom_site_label
_atom_site_type_symbol
_atom_site_fract_x
_atom_site_fract_y
_atom_site_fract_z
Rb1 Rb 0.250 0.010 0.243
Na1 Na 0.047 0.250 0.910
Na2 Na 0.053 0.750 0.565
Na3 Na 0.250 0.002 0.739
Cd1 Cd 0.250 0.750 0.901
Hg1 Hg 0.250 0.250 0.588
```


(3)
Structure and computed XRD peak list of Rb2Na4Cd2Hg (the PBE geometry in Alexandria; Cu Ka).
Neutral-atom scattering factors, no anomalous dispersion.

Largest 10 diffraction maxima, sorted by position, 2θ = 10–90°:
2θ (°)  I (rel.)
11.17  44
14.45  100
20.17  46
24.58  53
25.97  33
27.07  34
29.79  73
32.00  60
32.86  46
36.15  54

Structure:
```
data_Rb2Na4Cd2Hg
_cell_length_a 11.588
_cell_length_b 7.244
_cell_length_c 7.981
_cell_angle_alpha 90.00
_cell_angle_beta 97.09
_cell_angle_gamma 90.00
_space_group_name_H-M_alt 'C 1 2/m 1'
_space_group_IT_number 12
loop_
_space_group_symop_operation_xyz
'x,y,z'
'-x,-y,-z'
'-x,y,-z'
'x,-y,z'
'x+1/2,y+1/2,z'
'-x+1/2,-y+1/2,-z'
'-x+1/2,y+1/2,-z'
'x+1/2,-y+1/2,z'
loop_
_atom_site_label
_atom_site_type_symbol
_atom_site_fract_x
_atom_site_fract_y
_atom_site_fract_z
Rb1 Rb 0.162 0.000 0.393
Na1 Na 0.117 0.247 0.863
Cd1 Cd 0.126 0.500 0.195
Hg1 Hg 0.000 0.500 0.500
```


(4)
Structure and computed XRD peak list of NaCdHgSb (the PBE geometry in Alexandria; Cu Ka).
Neutral-atom scattering factors, no anomalous dispersion.

Largest 10 diffraction maxima, sorted by position, 2θ = 10–90°:
2θ (°)  I (rel.)
20.80  15
24.06  19
34.29  100
40.44  9
42.32  6
49.27  18
55.56  8
61.40  36
72.25  11
82.46  16

Structure:
```
data_NaCdHgSb
_cell_length_a 7.397
_cell_length_b 7.397
_cell_length_c 7.397
_cell_angle_alpha 90.00
_cell_angle_beta 90.00
_cell_angle_gamma 90.00
_space_group_name_H-M_alt 'F -4 3 m'
_space_group_IT_number 216
_space_group_name_Hall 'F -4 2 3'
loop_
_atom_site_label
_atom_site_type_symbol
_atom_site_fract_x
_atom_site_fract_y
_atom_site_fract_z
Na1 Na 0.000 0.000 0.000
Cd1 Cd 0.000 0.000 0.500
Hg1 Hg 0.250 0.250 0.750
Sb1 Sb 0.250 0.250 0.250
```


(5)
Structure and computed XRD peak list of NaCdHgSe2 (the PBE geometry in Alexandria; Cu Ka).
Neutral-atom scattering factors, no anomalous dispersion.

Largest 10 diffraction maxima, sorted by position, 2θ = 10–90°:
2θ (°)  I (rel.)
13.77  100
24.29  24
26.45  24
29.49  24
29.86  72
35.30  60
36.21  88
42.17  23
45.23  24
49.76  24

Structure:
```
data_NaCdHgSe2
_cell_length_a 6.647
_cell_length_b 5.383
_cell_length_c 7.576